Contents
+++
Record 1
Calculated powder diffraction line list
Compound: K2LiBeP
Radiation: CuKα
Structure: a structure optimized by DFT (GGA-PBE)
Lines closer than 0.1° are merged.

The 10 most intense peaks (2θ from 10° to 90°), by intensity:
2θ/deg	I/Imax
26.78	100
35.31	60
22.59	52
13.30	43
29.58	38
38.24	35
44.87	28
54.13	23
18.85	22
49.07	16

Cell lengths 6.6572, 6.6572, 3.9364 Å; angles 90.00, 90.00, 90.00 degrees
Atoms (fractional coordinates):
1 K 0.0000 0.5000 0.0000
2 K 0.5000 0.0000 0.0000
3 Li 0.0000 0.0000 0.5000
4 Be 0.5000 0.5000 0.5000
5 P 0.5000 0.5000 0.0000

***

Record 2
Calculated powder diffraction line list
Compound: Cs3Pb2I4Br3
Radiation: CuKα
Structure: a structure optimized by DFT (GGA-PBE)
Lines closer than 0.1° are merged.

The 10 most intense peaks (2θ from 10° to 90°), by intensity:
2θ/deg	I/Imax
29.67	100
20.25	81
41.17	80
27.89	80
28.48	63
26.54	51
50.82	51
11.29	49
41.60	45
40.29	43

Cell lengths 16.2731, 16.2731, 16.2731 Å; angles 158.68, 31.32, 157.33 degrees
Atoms (fractional coordinates):
1 Cs 0.0000 0.0000 0.0000
2 Cs 0.0450 0.8676 0.1773
3 Cs 0.6903 0.8676 0.8227
4 Pb 0.2783 0.8765 0.4017
5 Pb 0.4748 0.8765 0.5983
6 I 0.1841 0.8835 0.3006
7 I 0.5829 0.8835 0.6994
8 I 0.7822 0.3734 0.4088
9 I 0.9645 0.3734 0.5912
10 Br 0.2577 0.3573 0.9004
11 Br 0.3591 0.8591 0.5000
12 Br 0.4570 0.3573 0.0996

***

Record 3
Calculated powder diffraction line list
Compound: Sc3Zn2In2Au4
Radiation: CuKα
Structure: a structure optimized by DFT (GGA-PBE)
Lines closer than 0.1° are merged.

The 10 most intense peaks (2θ from 10° to 90°), by intensity:
2θ/deg	I/Imax
39.99	100
36.35	69
22.77	49
26.76	48
49.49	36
27.95	28
31.08	24
48.75	23
42.29	22
72.61	21

Cell lengths 4.5096, 4.5096, 12.7681 Å; angles 90.00, 90.00, 120.00 degrees
Atoms (fractional coordinates):
1 Sc 0.0000 0.0000 0.0000
2 Sc 0.0000 0.0000 0.2472
3 Sc 0.0000 0.0000 0.7528
4 Zn 0.3333 0.6667 0.1279
5 Zn 0.6667 0.3333 0.8721
6 In 0.3333 0.6667 0.5732
7 In 0.6667 0.3333 0.4268
8 Au 0.3333 0.6667 0.3449
9 Au 0.3333 0.6667 0.8832
10 Au 0.6667 0.3333 0.1168
11 Au 0.6667 0.3333 0.6551

***

Record 4
Calculated powder diffraction line list
Compound: Pm5Si5Pt2
Radiation: CuKα
Structure: a structure optimized by DFT (GGA-PBE)
Lines closer than 0.1° are merged.

The 10 most intense peaks (2θ from 10° to 90°), by intensity:
2θ/deg	I/Imax
32.44	100
33.53	52
40.38	44
42.41	35
24.93	30
22.40	28
55.11	26
35.56	25
33.96	24
31.57	24

Cell lengths 6.1617, 6.1617, 11.3816 Å; angles 108.76, 108.76, 40.48 degrees
Atoms (fractional coordinates):
1 Pm 0.0000 0.0000 0.0000
2 Pm 0.3435 0.3435 0.5043
3 Pm 0.3796 0.3796 0.2280
4 Pm 0.6204 0.6204 0.7720
5 Pm 0.6565 0.6565 0.4957
6 Si 0.0000 0.0000 0.5000
7 Si 0.0985 0.0985 0.2864
8 Si 0.2764 0.2764 0.9540
9 Si 0.7236 0.7236 0.0460
10 Si 0.9015 0.9015 0.7136
11 Pt 0.3328 0.3328 0.7687
12 Pt 0.6672 0.6672 0.2313

***

Record 5
Calculated powder diffraction line list
Compound: Cs2Sn2S2O
Radiation: CuKα
Structure: a structure optimized by DFT (GGA-PBE)
Lines closer than 0.1° are merged.

The 10 most intense peaks (2θ from 10° to 90°), by intensity:
2θ/deg	I/Imax
23.13	100
21.89	93
31.52	86
27.36	79
28.81	78
23.53	56
44.41	37
33.04	31
32.59	30
35.59	29

Cell lengths 6.1276, 6.6231, 7.1110 Å; angles 106.92, 101.41, 104.46 degrees
Atoms (fractional coordinates):
1 Cs 0.2349 0.0991 0.2934
2 Cs 0.7651 0.9009 0.7066
3 Sn 0.2506 0.5460 0.8516
4 Sn 0.7494 0.4540 0.1484
5 S 0.3750 0.1936 0.8380
6 S 0.6250 0.8064 0.1620
7 O 0.0000 0.5000 0.0000

***

Record 6
Calculated powder diffraction line list
Compound: CsCd6Sb4
Radiation: CuKα
Structure: a structure optimized by DFT (GGA-PBE)
Lines closer than 0.1° are merged.

The 10 most intense peaks (2θ from 10° to 90°), by intensity:
2θ/deg	I/Imax
35.76	100
23.64	50
64.25	28
40.67	23
51.46	21
43.32	20
25.86	16
86.71	12
75.76	11
28.09	10

Cell lengths 14.6446, 14.6446, 14.6446 Å; angles 160.25, 160.25, 28.07 degrees
Atoms (fractional coordinates):
1 Cs 0.0000 0.0000 0.0000
2 Cd 0.1304 0.6304 0.5000
+++

Activity
Retype all of the lines above without additions.

Written answer
Record 1
Calculated powder diffraction line list
Compound: K2LiBeP
Radiation: CuKα
Structure: a structure optimized by DFT (GGA-PBE)
Lines closer than 0.1° are merged.

The 10 most intense peaks (2θ from 10° to 90°), by intensity:
2θ/deg	I/Imax
26.78	100
35.31	60
22.59	52
13.30	43
29.58	38
38.24	35
44.87	28
54.13	23
18.85	22
49.07	16

Cell lengths 6.6572, 6.6572, 3.9364 Å; angles 90.00, 90.00, 90.00 degrees
Atoms (fractional coordinates):
1 K 0.0000 0.5000 0.0000
2 K 0.5000 0.0000 0.0000
3 Li 0.0000 0.0000 0.5000
4 Be 0.5000 0.5000 0.5000
5 P 0.5000 0.5000 0.0000

***

Record 2
Calculated powder diffraction line list
Compound: Cs3Pb2I4Br3
Radiation: CuKα
Structure: a structure optimized by DFT (GGA-PBE)
Lines closer than 0.1° are merged.

The 10 most intense peaks (2θ from 10° to 90°), by intensity:
2θ/deg	I/Imax
29.67	100
20.25	81
41.17	80
27.89	80
28.48	63
26.54	51
50.82	51
11.29	49
41.60	45
40.29	43

Cell lengths 16.2731, 16.2731, 16.2731 Å; angles 158.68, 31.32, 157.33 degrees
Atoms (fractional coordinates):
1 Cs 0.0000 0.0000 0.0000
2 Cs 0.0450 0.8676 0.1773
3 Cs 0.6903 0.8676 0.8227
4 Pb 0.2783 0.8765 0.4017
5 Pb 0.4748 0.8765 0.5983
6 I 0.1841 0.8835 0.3006
7 I 0.5829 0.8835 0.6994
8 I 0.7822 0.3734 0.4088
9 I 0.9645 0.3734 0.5912
10 Br 0.2577 0.3573 0.9004
11 Br 0.3591 0.8591 0.5000
12 Br 0.4570 0.3573 0.0996

***

Record 3
Calculated powder diffraction line list
Compound: Sc3Zn2In2Au4
Radiation: CuKα
Structure: a structure optimized by DFT (GGA-PBE)
Lines closer than 0.1° are merged.

The 10 most intense peaks (2θ from 10° to 90°), by intensity:
2θ/deg	I/Imax
39.99	100
36.35	69
22.77	49
26.76	48
49.49	36
27.95	28
31.08	24
48.75	23
42.29	22
72.61	21

Cell lengths 4.5096, 4.5096, 12.7681 Å; angles 90.00, 90.00, 120.00 degrees
Atoms (fractional coordinates):
1 Sc 0.0000 0.0000 0.0000
2 Sc 0.0000 0.0000 0.2472
3 Sc 0.0000 0.0000 0.7528
4 Zn 0.3333 0.6667 0.1279
5 Zn 0.6667 0.3333 0.8721
6 In 0.3333 0.6667 0.5732
7 In 0.6667 0.3333 0.4268
8 Au 0.3333 0.6667 0.3449
9 Au 0.3333 0.6667 0.8832
10 Au 0.6667 0.3333 0.1168
11 Au 0.6667 0.3333 0.6551

***

Record 4
Calculated powder diffraction line list
Compound: Pm5Si5Pt2
Radiation: CuKα
Structure: a structure optimized by DFT (GGA-PBE)
Lines closer than 0.1° are merged.

The 10 most intense peaks (2θ from 10° to 90°), by intensity:
2θ/deg	I/Imax
32.44	100
33.53	52
40.38	44
42.41	35
24.93	30
22.40	28
55.11	26
35.56	25
33.96	24
31.57	24

Cell lengths 6.1617, 6.1617, 11.3816 Å; angles 108.76, 108.76, 40.48 degrees
Atoms (fractional coordinates):
1 Pm 0.0000 0.0000 0.0000
2 Pm 0.3435 0.3435 0.5043
3 Pm 0.3796 0.3796 0.2280
4 Pm 0.6204 0.6204 0.7720
5 Pm 0.6565 0.6565 0.4957
6 Si 0.0000 0.0000 0.5000
7 Si 0.0985 0.0985 0.2864
8 Si 0.2764 0.2764 0.9540
9 Si 0.7236 0.7236 0.0460
10 Si 0.9015 0.9015 0.7136
11 Pt 0.3328 0.3328 0.7687
12 Pt 0.6672 0.6672 0.2313

***

Record 5
Calculated powder diffraction line list
Compound: Cs2Sn2S2O
Radiation: CuKα
Structure: a structure optimized by DFT (GGA-PBE)
Lines closer than 0.1° are merged.

The 10 most intense peaks (2θ from 10° to 90°), by intensity:
2θ/deg	I/Imax
23.13	100
21.89	93
31.52	86
27.36	79
28.81	78
23.53	56
44.41	37
33.04	31
32.59	30
35.59	29

Cell lengths 6.1276, 6.6231, 7.1110 Å; angles 106.92, 101.41, 104.46 degrees
Atoms (fractional coordinates):
1 Cs 0.2349 0.0991 0.2934
2 Cs 0.7651 0.9009 0.7066
3 Sn 0.2506 0.5460 0.8516
4 Sn 0.7494 0.4540 0.1484
5 S 0.3750 0.1936 0.8380
6 S 0.6250 0.8064 0.1620
7 O 0.0000 0.5000 0.0000

***

Record 6
Calculated powder diffraction line list
Compound: CsCd6Sb4
Radiation: CuKα
Structure: a structure optimized by DFT (GGA-PBE)
Lines closer than 0.1° are merged.

The 10 most intense peaks (2θ from 10° to 90°), by intensity:
2θ/deg	I/Imax
35.76	100
23.64	50
64.25	28
40.67	23
51.46	21
43.32	20
25.86	16
86.71	12
75.76	11
28.09	10

Cell lengths 14.6446, 14.6446, 14.6446 Å; angles 160.25, 160.25, 28.07 degrees
Atoms (fractional coordinates):
1 Cs 0.0000 0.0000 0.0000
2 Cd 0.1304 0.6304 0.5000